# Request
Now start at the top of the listing underneath and quote each line, ending with the one that has "8.2346".
# Input
........
(1)
Simulated X-ray diffraction stick pattern of Al3BC3 for a wavelength of 1.5418 Å, from DFT lattice parameters and positions (PBE).
No peak broadening, texture or thermal motion is included.

Cell and atoms:
```
42
Lattice="5.9311 0.0000 0.0000 -2.9656 5.1365 0.0000 0.0000 0.0000 15.9502" Properties=species:S:1:pos:R:3 pbc="T T T"
Al 0.0000 0.0000 2.2972
Al 0.0000 0.0000 10.2723
Al -0.9495 1.6445 0.0000
Al -1.0301 1.7842 4.0666
Al -1.9354 3.3522 12.0417
Al -2.0161 3.4920 7.9751
Al 1.8989 0.0000 0.0000
Al 0.9495 1.6445 7.9751
Al 0.0000 3.4243 1.8488
Al 0.0000 3.4243 9.8239
Al 2.0603 0.0000 4.0666
Al 1.0301 1.7842 12.0417
Al 3.8708 0.0000 12.0417
Al 1.9354 3.3522 4.0666
Al 2.9656 1.7122 1.8488
Al 2.9656 1.7122 9.8239
Al 4.0322 0.0000 7.9751
Al 2.0161 3.4920 0.0000
B 0.0000 0.0000 5.8651
B 0.0000 0.0000 13.8402
B 0.0000 3.4243 6.1156
B 0.0000 3.4243 14.0908
B 2.9656 1.7122 6.1156
B 2.9656 1.7122 14.0908
C 0.0000 0.0000 4.4334
C 0.0000 0.0000 7.3110
C 0.0000 0.0000 12.4085
C 0.0000 0.0000 15.2861
C -0.9878 1.7109 2.0322
C -1.9778 3.4256 10.0073
C 1.9756 0.0000 2.0322
C 0.9878 1.7109 10.0073
C 0.0000 3.4243 4.6741
C 0.0000 3.4243 7.5586
C 0.0000 3.4243 12.6492
C 0.0000 3.4243 15.5337
C 3.9556 0.0000 10.0073
C 2.9656 1.7122 4.6741
C 2.9656 1.7122 7.5586
C 2.9656 1.7122 12.6492
C 2.9656 1.7122 15.5337
C 1.9778 3.4256 2.0322
```

Principal peaks in the range 2θ from 10° to 90°, by intensity:
| 2theta | I_rel |
| --- | --- |
| 30.66 | 100 |
| 53.52 | 71 |
| 37.81 | 55 |
| 11.09 | 35 |
| 72.81 | 32 |
| 50.51 | 26 |
| 34.63 | 25 |
| 45.49 | 23 |
| 30.14 | 19 |
| 33.72 | 19 |

***

(2)
Simulated X-ray diffraction stick pattern of CuPdPb4 for a wavelength of 1.5418 Å, from DFT lattice parameters and positions (PBE).
No peak broadening, texture or thermal motion is included.

Cell and atoms:
```
12
Lattice="-3.4573 3.4573 6.1803 3.4573 -3.4573 6.1803 3.4573 3.4573 -6.1803" Properties=species:S:1:pos:R:3 pbc="T T T"
Cu 0.0000 0.0000 3.0901
Cu 0.0000 0.0000 9.2704
Pd 0.0000 0.0000 0.0000
Pd 0.0000 0.0000 6.1803
Pb 4.6191 1.1618 -1.6166
Pb 1.1618 2.2954 -1.6166
Pb 4.6191 1.1618 1.6166
Pb 1.1618 2.2954 1.6166
Pb 2.2954 1.1618 4.5637
Pb -1.1618 2.2954 4.5637
Pb 2.2954 1.1618 7.7969
Pb -1.1618 2.2954 7.7969
```

Principal peaks in the range 2θ from 10° to 90°, by intensity:
| 2theta | I_rel |
| --- | --- |
| 29.78 | 100 |
| 36.32 | 79 |
| 39.10 | 50 |
| 41.29 | 41 |
| 64.66 | 32 |
| 28.89 | 31 |
| 34.33 | 28 |
| 60.36 | 23 |
| 59.51 | 21 |
| 47.06 | 20 |

***

(3)
Simulated X-ray diffraction stick pattern of NbTeH2PdI for a wavelength of 1.5418 Å, from DFT lattice parameters and positions (PBE).
No peak broadening, texture or thermal motion is included.

Cell and atoms:
```
6
Lattice="3.4730 0.0000 0.0000 0.0000 2.1938 8.2827 0.0000 -2.1938 8.2827" Properties=species:S:1:pos:R:3 pbc="T T T"
Nb 0.0000 0.0000 0.0000
Te 1.7365 0.0000 14.2755
H 0.0000 0.0000 8.2346
H 1.7365 0.0000 0.6936
Pd 1.7365 0.0000 7.5377
I 0.0000 0.0000 2.7492
```

Principal peaks in the range 2θ from 10° to 90°, by intensity:
| 2theta | I_rel |
| --- | --- |
| 42.99 | 100 |
| 27.86 | 88 |
| 10.68 | 83 |
| 33.34 | 80 |
| 25.94 | 55 |
| 43.45 | 49 |
| 20.94 | 43 |
| 41.15 | 37 |
| 50.42 | 34 |
| 21.46 | 28 |

***

(4)
Simulated X-ray diffraction stick pattern of Pr5Zr3Ni16As12 for a wavelength of 1.5418 Å, from DFT lattice parameters and positions (PBE).
No peak broadening, texture or thermal motion is included.

Cell and atoms:
```
36
Lattice="12.8871 0.0000 0.0000 -6.4435 11.1606 0.0000 0.0000 0.0000 4.0283" Properties=species:S:1:pos:R:3 pbc="T T T"
Pr -5.2255 9.0509 0.0000
Pr 1.2180 2.1097 0.0000
Pr 0.0000 7.4404 2.0142
Pr 6.4436 3.7202 2.0142
Pr 10.4510 0.0000 0.0000
Zr -2.7616 4.7832 2.0142
Zr 5.5232 0.0000 2.0142
Zr 3.6820 6.3774 2.0142
Ni 0.0000 0.0000 2.0142
Ni -1.7722 3.0696 0.0000
Ni -2.5436 7.0538 0.0000
Ni -0.0313 4.2362 2.0142
Ni -2.7592 9.0695 2.0142
Ni 3.5444 0.0000 0.0000
Ni 1.6066 5.4309 0.0000
Ni 3.6843 2.0910 2.0142
Ni 3.9000 4.1068 0.0000
........
# Done
(1)
Simulated X-ray diffraction stick pattern of Al3BC3 for a wavelength of 1.5418 Å, from DFT lattice parameters and positions (PBE).
No peak broadening, texture or thermal motion is included.

Cell and atoms:
```
42
Lattice="5.9311 0.0000 0.0000 -2.9656 5.1365 0.0000 0.0000 0.0000 15.9502" Properties=species:S:1:pos:R:3 pbc="T T T"
Al 0.0000 0.0000 2.2972
Al 0.0000 0.0000 10.2723
Al -0.9495 1.6445 0.0000
Al -1.0301 1.7842 4.0666
Al -1.9354 3.3522 12.0417
Al -2.0161 3.4920 7.9751
Al 1.8989 0.0000 0.0000
Al 0.9495 1.6445 7.9751
Al 0.0000 3.4243 1.8488
Al 0.0000 3.4243 9.8239
Al 2.0603 0.0000 4.0666
Al 1.0301 1.7842 12.0417
Al 3.8708 0.0000 12.0417
Al 1.9354 3.3522 4.0666
Al 2.9656 1.7122 1.8488
Al 2.9656 1.7122 9.8239
Al 4.0322 0.0000 7.9751
Al 2.0161 3.4920 0.0000
B 0.0000 0.0000 5.8651
B 0.0000 0.0000 13.8402
B 0.0000 3.4243 6.1156
B 0.0000 3.4243 14.0908
B 2.9656 1.7122 6.1156
B 2.9656 1.7122 14.0908
C 0.0000 0.0000 4.4334
C 0.0000 0.0000 7.3110
C 0.0000 0.0000 12.4085
C 0.0000 0.0000 15.2861
C -0.9878 1.7109 2.0322
C -1.9778 3.4256 10.0073
C 1.9756 0.0000 2.0322
C 0.9878 1.7109 10.0073
C 0.0000 3.4243 4.6741
C 0.0000 3.4243 7.5586
C 0.0000 3.4243 12.6492
C 0.0000 3.4243 15.5337
C 3.9556 0.0000 10.0073
C 2.9656 1.7122 4.6741
C 2.9656 1.7122 7.5586
C 2.9656 1.7122 12.6492
C 2.9656 1.7122 15.5337
C 1.9778 3.4256 2.0322
```

Principal peaks in the range 2θ from 10° to 90°, by intensity:
| 2theta | I_rel |
| --- | --- |
| 30.66 | 100 |
| 53.52 | 71 |
| 37.81 | 55 |
| 11.09 | 35 |
| 72.81 | 32 |
| 50.51 | 26 |
| 34.63 | 25 |
| 45.49 | 23 |
| 30.14 | 19 |
| 33.72 | 19 |

***

(2)
Simulated X-ray diffraction stick pattern of CuPdPb4 for a wavelength of 1.5418 Å, from DFT lattice parameters and positions (PBE).
No peak broadening, texture or thermal motion is included.

Cell and atoms:
```
12
Lattice="-3.4573 3.4573 6.1803 3.4573 -3.4573 6.1803 3.4573 3.4573 -6.1803" Properties=species:S:1:pos:R:3 pbc="T T T"
Cu 0.0000 0.0000 3.0901
Cu 0.0000 0.0000 9.2704
Pd 0.0000 0.0000 0.0000
Pd 0.0000 0.0000 6.1803
Pb 4.6191 1.1618 -1.6166
Pb 1.1618 2.2954 -1.6166
Pb 4.6191 1.1618 1.6166
Pb 1.1618 2.2954 1.6166
Pb 2.2954 1.1618 4.5637
Pb -1.1618 2.2954 4.5637
Pb 2.2954 1.1618 7.7969
Pb -1.1618 2.2954 7.7969
```

Principal peaks in the range 2θ from 10° to 90°, by intensity:
| 2theta | I_rel |
| --- | --- |
| 29.78 | 100 |
| 36.32 | 79 |
| 39.10 | 50 |
| 41.29 | 41 |
| 64.66 | 32 |
| 28.89 | 31 |
| 34.33 | 28 |
| 60.36 | 23 |
| 59.51 | 21 |
| 47.06 | 20 |

***

(3)
Simulated X-ray diffraction stick pattern of NbTeH2PdI for a wavelength of 1.5418 Å, from DFT lattice parameters and positions (PBE).
No peak broadening, texture or thermal motion is included.

Cell and atoms:
```
6
Lattice="3.4730 0.0000 0.0000 0.0000 2.1938 8.2827 0.0000 -2.1938 8.2827" Properties=species:S:1:pos:R:3 pbc="T T T"
Nb 0.0000 0.0000 0.0000
Te 1.7365 0.0000 14.2755
H 0.0000 0.0000 8.2346